**Work order**
It remains to print everything further down verbatim.

**Contents**
........
A structure of composition C26H37BrGaINO14 at a distorted geometry, computed with ωB97M-V/def2-TZVPD.

Last column: Löwdin charge in e.
Atoms and positions in Å:
C1 3.3511 -4.6790 -2.0103  -0.1717
C2 3.1208 -3.1889 -2.3279  -0.3567
C3 1.9624 -2.5005 -1.5479  -0.7300
Br1 1.4348 -3.4102 0.1109  0.6190
Ga1 0.3641 -2.2525 -2.8053  0.0743
I1 0.8765 -0.2859 -4.4883  0.6271
C4 -1.3495 -1.8181 -1.8168  -0.2097
C5 -2.4038 -2.9174 -1.7790  -0.2815
C6 -3.0870 -3.2555 -0.5965  -0.0470
C7 -4.0515 -4.2699 -0.6412  -0.1135
C8 -4.3496 -4.9975 -1.7891  -0.1248
C9 -3.6755 -4.6714 -2.9774  -0.0927
C10 -2.7433 -3.6340 -2.9360  -0.0697
O1 0.2939 -3.8856 -3.8499  -0.2428
N1 0.3873 -3.6959 -5.1636  -0.2074
O2 0.3263 -4.7372 -5.7560  -0.0663
H1 2.5413 -5.3205 -2.3856  0.0726
H2 3.5843 -4.8794 -0.9590  0.0322
H3 4.2473 -4.9958 -2.5786  0.0643
H4 3.0004 -3.1148 -3.4192  0.0854
H5 4.0574 -2.6646 -2.0578  0.0782
H6 2.2862 -1.4859 -1.2868  0.0105
H7 -1.0767 -1.5828 -0.7734  0.0349
H8 -1.8365 -0.9035 -2.1992  0.0585
H9 -2.9119 -2.7324 0.3408  0.0884
H10 -4.5859 -4.4934 0.2879  0.0916
H11 -5.0768 -5.8100 -1.8298  0.0852
H12 -3.8414 -5.1844 -3.9244  0.0956
H13 -2.2412 -3.3724 -3.8703  0.0984
C11 1.4558 6.2649 -2.2472  -0.0272
C12 1.1370 5.2047 -3.2731  -0.3442
C13 -0.3247 4.8482 -3.3747  -0.1042
O3 -0.2712 3.5080 -3.8681  0.0630
C14 0.9045 2.9732 -3.4438  -0.5510
O4 1.1844 1.8194 -3.5302  -0.2776
O5 1.7102 3.9416 -2.9118  0.0819
H14 2.5309 6.3161 -2.0740  0.0863
H15 1.1056 7.2431 -2.5790  0.0863
H16 0.9909 6.0346 -1.2869  0.0855
H17 1.5461 5.4909 -4.2472  0.1577
H18 -0.8714 5.4910 -4.0622  0.1369
H19 -0.8346 4.8386 -2.4075  0.1357
C15 -0.1478 1.9975 1.4053  -0.0081
C16 -1.5826 1.7311 1.0215  -0.3216
C17 -2.6050 2.3184 1.9601  -0.1001
O6 -3.7277 1.4432 1.7688  0.0502
C18 -3.2183 0.2360 1.3924  -0.5511
O7 -3.8455 -0.7698 1.3227  0.1567
O8 -1.8976 0.3332 1.1113  0.0934
H20 0.5274 1.3710 0.8220  0.0725
H21 0.1092 3.0445 1.2365  0.0873
H22 0.0289 1.7594 2.4559  0.0933
H23 -1.7572 2.0478 -0.0120  0.1578
H24 -2.8676 3.3457 1.7100  0.1378
H25 -2.3100 2.2684 3.0064  0.1073
C19 7.0773 1.1743 -0.2568  -0.0264
C20 6.0663 0.3863 0.5398  -0.3428
C21 5.6994 -0.9476 -0.0578  -0.1001
O9 4.3862 -1.1581 0.4662  0.0484
C22 3.8468 0.0696 0.6867  -0.5427
O10 2.7095 0.2722 0.9492  0.1658
O11 4.7946 1.0445 0.5619  0.0838
H26 7.1325 2.2010 0.1067  0.0843
H27 8.0664 0.7211 -0.1831  0.0867
H28 6.7938 1.2253 -1.3093  0.0902
H29 6.4054 0.2800 1.5754  0.1567
H30 6.3702 -1.7477 0.2496  0.1402
H31 5.6354 -0.9312 -1.1489  0.1362
C23 -4.9220 0.1727 7.4235  -0.0225
C24 -4.1676 1.2717 6.7172  -0.3343
C25 -4.0560 1.0939 5.2255  -0.0856
O12 -2.8561 1.8247 4.9307  0.0251
C26 -2.0835 1.7851 6.0513  -0.5493
O13 -0.9517 2.1348 6.0973  0.1733
O14 -2.7840 1.2890 7.1049  0.0874
H32 -4.7804 0.2459 8.5021  0.0863
H33 -5.9879 0.2322 7.2034  0.0904
H34 -4.5576 -0.8104 7.1217  0.0915
H35 -4.5967 2.2455 6.9729  0.1580
H36 -4.9039 1.5081 4.6846  0.1444
H37 -3.9095 0.0556 4.9201  0.1479

Results
Net charge: -1
HOMO-LUMO gap, eV: 5.8
Highest occupied orbital energy, hartree: -0.14057


A structure of composition C10H8BF4N2OS2V at a distorted geometry, computed with ωB97M-V/def2-TZVPD.

Last column: Löwdin spin population.
Atoms and positions in Å:
V1 -0.5277 -0.2397 -1.1062  1.0435
S1 1.3316 -0.3341 -2.4880  -0.0409
C1 1.6592 -1.6503 -1.3929  0.0052
C2 2.7030 -2.5664 -1.3944  0.0000
C3 2.7653 -3.4576 -0.3375  0.0003
C4 1.8074 -3.4206 0.6786  -0.0010
C5 0.7778 -2.5125 0.5897  0.0018
N1 0.7195 -1.6503 -0.4336  -0.0003
H1 3.4245 -2.5694 -2.1978  -0.0003
H2 3.5524 -4.1991 -0.3034  0.0001
H3 1.8624 -4.0956 1.5195  -0.0001
H4 -0.0101 -2.4646 1.3299  0.0002
O1 0.0302 0.7365 0.1708  -0.0167
N2 -0.2351 1.9898 0.5292  0.0036
C6 0.2854 2.5149 1.6593  0.0025
C7 0.0199 3.8104 1.9854  0.0032
C8 -0.8071 4.5727 1.1452  0.0022
C9 -1.3414 4.0098 0.0131  0.0027
C10 -1.0461 2.6814 -0.3180  0.0021
S2 -1.5845 1.8453 -1.6968  0.0001
H5 0.8930 1.8473 2.2521  0.0001
H6 0.4371 4.2332 2.8860  0.0001
H7 -1.0285 5.6013 1.3931  0.0000
........

**Response**
A structure of composition C26H37BrGaINO14 at a distorted geometry, computed with ωB97M-V/def2-TZVPD.

Last column: Löwdin charge in e.
Atoms and positions in Å:
C1 3.3511 -4.6790 -2.0103  -0.1717
C2 3.1208 -3.1889 -2.3279  -0.3567
C3 1.9624 -2.5005 -1.5479  -0.7300
Br1 1.4348 -3.4102 0.1109  0.6190
Ga1 0.3641 -2.2525 -2.8053  0.0743
I1 0.8765 -0.2859 -4.4883  0.6271
C4 -1.3495 -1.8181 -1.8168  -0.2097
C5 -2.4038 -2.9174 -1.7790  -0.2815
C6 -3.0870 -3.2555 -0.5965  -0.0470
C7 -4.0515 -4.2699 -0.6412  -0.1135
C8 -4.3496 -4.9975 -1.7891  -0.1248
C9 -3.6755 -4.6714 -2.9774  -0.0927
C10 -2.7433 -3.6340 -2.9360  -0.0697
O1 0.2939 -3.8856 -3.8499  -0.2428
N1 0.3873 -3.6959 -5.1636  -0.2074
O2 0.3263 -4.7372 -5.7560  -0.0663
H1 2.5413 -5.3205 -2.3856  0.0726
H2 3.5843 -4.8794 -0.9590  0.0322
H3 4.2473 -4.9958 -2.5786  0.0643
H4 3.0004 -3.1148 -3.4192  0.0854
H5 4.0574 -2.6646 -2.0578  0.0782
H6 2.2862 -1.4859 -1.2868  0.0105
H7 -1.0767 -1.5828 -0.7734  0.0349
H8 -1.8365 -0.9035 -2.1992  0.0585
H9 -2.9119 -2.7324 0.3408  0.0884
H10 -4.5859 -4.4934 0.2879  0.0916
H11 -5.0768 -5.8100 -1.8298  0.0852
H12 -3.8414 -5.1844 -3.9244  0.0956
H13 -2.2412 -3.3724 -3.8703  0.0984
C11 1.4558 6.2649 -2.2472  -0.0272
C12 1.1370 5.2047 -3.2731  -0.3442
C13 -0.3247 4.8482 -3.3747  -0.1042
O3 -0.2712 3.5080 -3.8681  0.0630
C14 0.9045 2.9732 -3.4438  -0.5510
O4 1.1844 1.8194 -3.5302  -0.2776
O5 1.7102 3.9416 -2.9118  0.0819
H14 2.5309 6.3161 -2.0740  0.0863
H15 1.1056 7.2431 -2.5790  0.0863
H16 0.9909 6.0346 -1.2869  0.0855
H17 1.5461 5.4909 -4.2472  0.1577
H18 -0.8714 5.4910 -4.0622  0.1369
H19 -0.8346 4.8386 -2.4075  0.1357
C15 -0.1478 1.9975 1.4053  -0.0081
C16 -1.5826 1.7311 1.0215  -0.3216
C17 -2.6050 2.3184 1.9601  -0.1001
O6 -3.7277 1.4432 1.7688  0.0502
C18 -3.2183 0.2360 1.3924  -0.5511
O7 -3.8455 -0.7698 1.3227  0.1567
O8 -1.8976 0.3332 1.1113  0.0934
H20 0.5274 1.3710 0.8220  0.0725
H21 0.1092 3.0445 1.2365  0.0873
H22 0.0289 1.7594 2.4559  0.0933
H23 -1.7572 2.0478 -0.0120  0.1578
H24 -2.8676 3.3457 1.7100  0.1378
H25 -2.3100 2.2684 3.0064  0.1073
C19 7.0773 1.1743 -0.2568  -0.0264
C20 6.0663 0.3863 0.5398  -0.3428
C21 5.6994 -0.9476 -0.0578  -0.1001
O9 4.3862 -1.1581 0.4662  0.0484
C22 3.8468 0.0696 0.6867  -0.5427
O10 2.7095 0.2722 0.9492  0.1658
O11 4.7946 1.0445 0.5619  0.0838
H26 7.1325 2.2010 0.1067  0.0843
H27 8.0664 0.7211 -0.1831  0.0867
H28 6.7938 1.2253 -1.3093  0.0902
H29 6.4054 0.2800 1.5754  0.1567
H30 6.3702 -1.7477 0.2496  0.1402
H31 5.6354 -0.9312 -1.1489  0.1362
C23 -4.9220 0.1727 7.4235  -0.0225
C24 -4.1676 1.2717 6.7172  -0.3343
C25 -4.0560 1.0939 5.2255  -0.0856
O12 -2.8561 1.8247 4.9307  0.0251
C26 -2.0835 1.7851 6.0513  -0.5493
O13 -0.9517 2.1348 6.0973  0.1733
O14 -2.7840 1.2890 7.1049  0.0874
H32 -4.7804 0.2459 8.5021  0.0863
H33 -5.9879 0.2322 7.2034  0.0904
H34 -4.5576 -0.8104 7.1217  0.0915
H35 -4.5967 2.2455 6.9729  0.1580
H36 -4.9039 1.5081 4.6846  0.1444
H37 -3.9095 0.0556 4.9201  0.1479

Results
Net charge: -1
HOMO-LUMO gap, eV: 5.8
Highest occupied orbital energy, hartree: -0.14057


A structure of composition C10H8BF4N2OS2V at a distorted geometry, computed with ωB97M-V/def2-TZVPD.

Last column: Löwdin spin population.
Atoms and positions in Å:
V1 -0.5277 -0.2397 -1.1062  1.0435
S1 1.3316 -0.3341 -2.4880  -0.0409
C1 1.6592 -1.6503 -1.3929  0.0052
C2 2.7030 -2.5664 -1.3944  0.0000
C3 2.7653 -3.4576 -0.3375  0.0003
C4 1.8074 -3.4206 0.6786  -0.0010
C5 0.7778 -2.5125 0.5897  0.0018
N1 0.7195 -1.6503 -0.4336  -0.0003
H1 3.4245 -2.5694 -2.1978  -0.0003
H2 3.5524 -4.1991 -0.3034  0.0001
H3 1.8624 -4.0956 1.5195  -0.0001
H4 -0.0101 -2.4646 1.3299  0.0002
O1 0.0302 0.7365 0.1708  -0.0167
N2 -0.2351 1.9898 0.5292  0.0036
C6 0.2854 2.5149 1.6593  0.0025
C7 0.0199 3.8104 1.9854  0.0032
C8 -0.8071 4.5727 1.1452  0.0022
C9 -1.3414 4.0098 0.0131  0.0027
C10 -1.0461 2.6814 -0.3180  0.0021
S2 -1.5845 1.8453 -1.6968  0.0001
H5 0.8930 1.8473 2.2521  0.0001
H6 0.4371 4.2332 2.8860  0.0001
H7 -1.0285 5.6013 1.3931  0.0000